• Contents:
=====
[1]
The following is a GGA+U calculation of an optimized crystal structure of Al2Co3GeO8, from the Materials Project database.

The structure in extended XYZ format:
```
14
Lattice="-2.324 -4.983 2.104 -2.968 3.045 4.071 -0.542 1.304 -5.715" Properties=species:S:1:pos:R:3 pbc="T T T"
Al -2.690 -1.606 1.494
Al -1.877 1.437 -2.514
Co -3.052 1.699 0.692
Co -2.976 -0.964 -1.472
Co -4.150 -0.142 3.439
Ge -0.049 -0.018 0.058
O -2.622 -3.606 0.937
O -4.280 -1.551 0.160
O -2.892 -3.034 -1.852
O -1.450 -1.185 -0.037
O -2.746 0.224 1.952
O -1.756 -0.370 -3.046
O -3.034 1.023 -1.137
O -3.869 -2.048 2.843
```

space-group type = Imm2, No. 44


[2]
The following is a GGA+U calculation of an optimized crystal structure of KAlCoP2O8, from the Materials Project database.

The structure in extended XYZ format:
```
52
Lattice="6.615 6.738 0.000 -6.615 6.738 0.000 0.000 1.603 8.716" Properties=species:S:1:pos:R:3 pbc="T T T"
K 3.092 10.497 6.795
K 3.437 5.532 6.265
K -3.092 9.695 2.437
K -3.437 4.730 1.907
Al -1.667 9.265 8.296
Al 0.807 2.747 5.350
Al 1.667 8.463 3.938
Al -0.807 1.946 0.992
Co 0.867 13.151 7.666
Co -1.596 6.523 4.848
Co -0.867 12.349 3.308
Co 1.596 5.722 0.490
P -4.791 9.314 8.435
P -0.961 6.202 8.000
P -0.853 9.607 5.155
P -4.793 6.592 4.528
P 4.791 8.512 4.077
P 0.961 5.400 3.641
P 0.853 8.805 0.797
P 4.793 5.790 0.170
O 1.387 10.091 0.159
O -0.970 13.632 7.700
O -4.756 7.809 8.660
O -1.558 7.528 8.611
O 3.360 6.994 8.497
O 0.560 6.316 7.887
O -1.217 9.671 6.665
O 1.424 12.691 5.874
O 1.292 2.952 7.030
O -1.644 5.857 6.671
O 0.708 9.449 5.058
O -1.387 10.893 4.517
O 3.331 9.069 4.244
O -1.524 8.416 4.461
O -4.911 8.165 4.619
O -0.948 2.522 5.127
O 0.970 12.830 3.342
O 4.756 7.008 4.302
O 1.558 6.727 4.253
O -3.360 6.193 4.139
O 1.375 4.269 4.649
O -0.560 5.514 3.529
O 1.217 8.870 2.307
O -1.424 11.889 1.516
O -1.292 2.150 2.672
O 1.644 5.055 2.313
O -0.708 8.647 0.700
O -3.331 9.870 8.603
O 1.524 7.614 0.103
O 4.911 7.363 0.261
O 0.948 1.720 0.769
O -1.375 3.468 0.290
```

space-group type = Cc, No. 9


[3]
The following is a GGA+U calculation of an optimized crystal structure of LiAlCoO3, from the Materials Project database.

The structure in extended XYZ format:
```
24
Lattice="5.505 0.606 1.870 -3.132 -4.740 1.563 2.304 -6.889 -5.302" Properties=species:S:1:pos:R:3 pbc="T T T"
Li 2.403 -5.726 0.469
Li 0.803 -9.473 -3.117
Li 3.874 -1.551 1.248
Li 2.274 -5.298 -2.339
Al 2.684 -2.759 -1.173
Al 6.589 -5.901 -2.889
Al -1.911 -5.123 1.019
Al 1.993 -8.265 -0.697
Co 3.689 -7.634 -2.926
Co 0.988 -3.390 1.056
Co -0.215 -4.492 -1.210
Co 4.892 -6.532 -0.659
O 1.703 -4.191 -0.686
O 5.608 -7.333 -2.402
O -0.931 -3.691 0.533
O 2.974 -6.833 -1.183
O -1.240 -6.153 -0.566
O 2.665 -9.295 -2.282
O 2.012 -1.729 0.412
O 5.917 -4.871 -1.303
O 4.433 -2.650 -0.672
O 2.833 -6.398 -4.257
O 1.844 -4.626 2.388
O 0.244 -8.374 -1.198
```


[4]
The following is a GGA+U calculation of an optimized crystal structure of Li9AlCo2O8, from the Materials Project database.

The structure in extended XYZ format:
```
80
Lattice="-5.898 1.621 -1.842 -2.020 -7.305 0.038 -4.407 1.298 15.255" Properties=species:S:1:pos:R:3 pbc="T T T"
Li -1.491 -3.781 1.041
Li -4.224 -3.030 0.188
Li -5.730 -1.070 0.789
Li -0.784 -0.567 1.817
Li -3.629 0.215 0.929
Li -2.853 -1.799 2.015
Li -6.905 -4.412 1.610
Li -5.048 -2.922 2.308
Li -7.887 -2.142 1.421
Li -1.429 0.019 4.387
Li -4.268 0.800 3.501
Li -3.439 -1.425 4.218
Li -7.593 -4.410 3.815
Li -8.735 -2.289 3.995
Li -5.890 -3.071 4.883
Li -4.748 -5.251 5.042
Li -5.025 1.152 5.620
Li -7.757 1.903 4.767
Li -4.568 -6.288 8.685
Li -7.300 -5.537 7.832
Li -7.577 0.866 8.410
Li -6.435 -1.314 8.568
Li -3.590 -2.096 9.456
Li -4.732 0.025 9.637
Li -8.886 -2.960 9.233
Li -8.056 -5.185 9.951
Li -10.896 -4.404 9.064
Li -4.438 -2.243 12.030
Li -7.277 -1.463 11.144
Li -5.420 0.027 11.842
Li -9.471 -2.587 11.436
Li -11.540 -3.818 11.634
Li -8.696 -4.600 12.522
Li -6.595 -3.315 12.663
Li -8.101 -1.355 13.264
Li -10.834 -0.604 12.411
=====
• Wanted:
The reader should copy everything above without additions.
• Response:
[1]
The following is a GGA+U calculation of an optimized crystal structure of Al2Co3GeO8, from the Materials Project database.

The structure in extended XYZ format:
```
14
Lattice="-2.324 -4.983 2.104 -2.968 3.045 4.071 -0.542 1.304 -5.715" Properties=species:S:1:pos:R:3 pbc="T T T"
Al -2.690 -1.606 1.494
Al -1.877 1.437 -2.514
Co -3.052 1.699 0.692
Co -2.976 -0.964 -1.472
Co -4.150 -0.142 3.439
Ge -0.049 -0.018 0.058
O -2.622 -3.606 0.937
O -4.280 -1.551 0.160
O -2.892 -3.034 -1.852
O -1.450 -1.185 -0.037
O -2.746 0.224 1.952
O -1.756 -0.370 -3.046
O -3.034 1.023 -1.137
O -3.869 -2.048 2.843
```

space-group type = Imm2, No. 44


[2]
The following is a GGA+U calculation of an optimized crystal structure of KAlCoP2O8, from the Materials Project database.

The structure in extended XYZ format:
```
52
Lattice="6.615 6.738 0.000 -6.615 6.738 0.000 0.000 1.603 8.716" Properties=species:S:1:pos:R:3 pbc="T T T"
K 3.092 10.497 6.795
K 3.437 5.532 6.265
K -3.092 9.695 2.437
K -3.437 4.730 1.907
Al -1.667 9.265 8.296
Al 0.807 2.747 5.350
Al 1.667 8.463 3.938
Al -0.807 1.946 0.992
Co 0.867 13.151 7.666
Co -1.596 6.523 4.848
Co -0.867 12.349 3.308
Co 1.596 5.722 0.490
P -4.791 9.314 8.435
P -0.961 6.202 8.000
P -0.853 9.607 5.155
P -4.793 6.592 4.528
P 4.791 8.512 4.077
P 0.961 5.400 3.641
P 0.853 8.805 0.797
P 4.793 5.790 0.170
O 1.387 10.091 0.159
O -0.970 13.632 7.700
O -4.756 7.809 8.660
O -1.558 7.528 8.611
O 3.360 6.994 8.497
O 0.560 6.316 7.887
O -1.217 9.671 6.665
O 1.424 12.691 5.874
O 1.292 2.952 7.030
O -1.644 5.857 6.671
O 0.708 9.449 5.058
O -1.387 10.893 4.517
O 3.331 9.069 4.244
O -1.524 8.416 4.461
O -4.911 8.165 4.619
O -0.948 2.522 5.127
O 0.970 12.830 3.342
O 4.756 7.008 4.302
O 1.558 6.727 4.253
O -3.360 6.193 4.139
O 1.375 4.269 4.649
O -0.560 5.514 3.529
O 1.217 8.870 2.307
O -1.424 11.889 1.516
O -1.292 2.150 2.672
O 1.644 5.055 2.313
O -0.708 8.647 0.700
O -3.331 9.870 8.603
O 1.524 7.614 0.103
O 4.911 7.363 0.261
O 0.948 1.720 0.769
O -1.375 3.468 0.290
```

space-group type = Cc, No. 9


[3]
The following is a GGA+U calculation of an optimized crystal structure of LiAlCoO3, from the Materials Project database.

The structure in extended XYZ format:
```
24
Lattice="5.505 0.606 1.870 -3.132 -4.740 1.563 2.304 -6.889 -5.302" Properties=species:S:1:pos:R:3 pbc="T T T"
Li 2.403 -5.726 0.469
Li 0.803 -9.473 -3.117
Li 3.874 -1.551 1.248
Li 2.274 -5.298 -2.339
Al 2.684 -2.759 -1.173
Al 6.589 -5.901 -2.889
Al -1.911 -5.123 1.019
Al 1.993 -8.265 -0.697
Co 3.689 -7.634 -2.926
Co 0.988 -3.390 1.056
Co -0.215 -4.492 -1.210
Co 4.892 -6.532 -0.659
O 1.703 -4.191 -0.686
O 5.608 -7.333 -2.402
O -0.931 -3.691 0.533
O 2.974 -6.833 -1.183
O -1.240 -6.153 -0.566
O 2.665 -9.295 -2.282
O 2.012 -1.729 0.412
O 5.917 -4.871 -1.303
O 4.433 -2.650 -0.672
O 2.833 -6.398 -4.257
O 1.844 -4.626 2.388
O 0.244 -8.374 -1.198
```


[4]
The following is a GGA+U calculation of an optimized crystal structure of Li9AlCo2O8, from the Materials Project database.

The structure in extended XYZ format:
```
80
Lattice="-5.898 1.621 -1.842 -2.020 -7.305 0.038 -4.407 1.298 15.255" Properties=species:S:1:pos:R:3 pbc="T T T"
Li -1.491 -3.781 1.041
Li -4.224 -3.030 0.188
Li -5.730 -1.070 0.789
Li -0.784 -0.567 1.817
Li -3.629 0.215 0.929
Li -2.853 -1.799 2.015
Li -6.905 -4.412 1.610
Li -5.048 -2.922 2.308
Li -7.887 -2.142 1.421
Li -1.429 0.019 4.387
Li -4.268 0.800 3.501
Li -3.439 -1.425 4.218
Li -7.593 -4.410 3.815
Li -8.735 -2.289 3.995
Li -5.890 -3.071 4.883
Li -4.748 -5.251 5.042
Li -5.025 1.152 5.620
Li -7.757 1.903 4.767
Li -4.568 -6.288 8.685
Li -7.300 -5.537 7.832
Li -7.577 0.866 8.410
Li -6.435 -1.314 8.568
Li -3.590 -2.096 9.456
Li -4.732 0.025 9.637
Li -8.886 -2.960 9.233
Li -8.056 -5.185 9.951
Li -10.896 -4.404 9.064
Li -4.438 -2.243 12.030
Li -7.277 -1.463 11.144
Li -5.420 0.027 11.842
Li -9.471 -2.587 11.436
Li -11.540 -3.818 11.634
Li -8.696 -4.600 12.522
Li -6.595 -3.315 12.663
Li -8.101 -1.355 13.264
Li -10.834 -0.604 12.411